<<<
Computed, not measured: the molecule C20H26N2O5S, with wB97M-V/def2-TZVPD.

Cartesian coordinates (Å):
1 S 2.63185 -0.56999 -0.74896
2 O 1.79771 -1.55765 -0.11250
3 O -5.19342 0.50448 -0.87769
4 O -2.60014 4.07573 -0.32778
5 O -3.89163 0.96817 0.88799
6 O 3.21791 -0.88818 -2.01583
7 N -1.68195 2.01442 0.04350
8 N 3.84329 -0.04949 0.26633
9 C -2.61872 -3.68996 -0.11801
10 C 0.13559 3.22435 -1.07919
11 C 5.46297 -1.93162 0.22187
12 C 3.46223 0.10311 1.65341
13 C -2.36943 -1.66975 -1.25420
14 C -4.48087 0.12477 0.01035
15 C -3.74688 -3.49762 -0.78848
16 C -1.96129 -2.34322 0.06064
17 C 5.19573 -0.45413 -0.05212
18 C 1.42284 3.19667 -1.59140
19 C 3.43880 1.57449 2.06123
20 C -2.68014 2.93280 0.05151
21 C -3.85064 -2.02505 -1.08769
22 C -3.98541 2.36186 0.62826
23 C -0.39207 2.08666 -0.47459
24 C -2.86060 -1.59857 1.08027
25 C 0.38945 0.93555 -0.38256
26 C 1.66400 0.93034 -0.89955
27 C -4.14728 -1.32716 0.27407
28 C 2.19760 2.05002 -1.50894
29 H 5.32768 -0.25638 -1.11694
30 H 4.42301 2.01677 1.93021
31 H 2.72954 2.12722 1.45047
32 H -4.79389 2.55692 -0.08526
33 H -3.05938 -2.21764 1.95418
34 H -1.92049 1.11144 0.43850
35 H 4.15390 -0.44827 2.29680
36 H 2.46931 -0.33751 1.77131
37 H 4.76864 -2.53246 -0.36008
38 H -1.91627 -2.14545 -2.12133
39 H -2.39321 -0.67930 1.42874
40 H 6.48013 -2.18579 -0.06475
41 H -4.20890 2.86604 1.57173
42 H 5.32859 -2.16665 1.27553
43 H 5.88143 0.18108 0.51576
44 H 1.82135 4.08190 -2.06264
45 H -0.46885 4.11408 -1.14873
46 H -4.53624 -1.73034 -1.87677
47 H -5.03000 -1.76855 0.74472
48 H -2.17847 -0.59757 -1.29307
49 H 3.19652 2.00661 -1.91022
50 H -2.23870 -4.60355 0.29963
51 H -4.50298 -4.21589 -1.04561
52 H 3.15155 1.66534 3.10554
53 H 0.01809 0.03240 0.07648
54 H -0.90186 -2.35546 0.30590

Values from the calculation:
Largest force on an atom (eV/A): 1.162
HOMO (eV): -9.0
Gap between HOMO and LUMO (Eh): 0.3500
Structure (SMILES): CCN(CC)S(=O)(=O)c1cccc(NC(=O)COC(=O)[C@@H]2C[C@H]3C=C[C@@H]2C3)c1
Electronic energy (Ha): -1661.6085


Computed, not measured: the molecule C20H26N4O2S, with wB97M-V/def2-TZVPD.

Cartesian coordinates (Å):
1 S -2.89474 1.54360 -2.37607
2 O -2.03039 -1.16562 0.38130
3 O 0.31774 -1.42997 -3.24821
4 N 1.90021 -0.01491 0.93116
5 N -0.52380 1.45981 -1.29590
6 N -0.50447 -0.15478 2.33260
7 N 1.73368 -0.06347 -2.36453
8 C 0.20187 -1.44171 1.96276
9 C -0.67297 0.53226 -2.48893
10 C 1.44279 1.30794 1.74264
11 C -1.74366 2.03514 -1.30050
12 C -1.74584 0.33028 2.23178
13 C -1.67804 0.36801 -3.07810
14 C 3.99124 -1.16629 -1.93999
15 C -2.89203 -1.93849 -0.56312
16 C 0.96113 -0.82485 0.68149
17 C -4.23395 1.12729 1.76281
18 C -3.54064 1.93758 2.68198
19 C 0.64507 0.91212 2.70079
20 C -3.72827 0.22999 0.96016
21 C 2.29903 0.77306 -1.35374
22 C 3.85073 -1.07138 -0.47136
23 C 2.71719 -1.51243 -2.61604
24 C -2.25862 1.39884 2.90757
25 C -2.44246 -0.06251 1.28637
26 C 2.95833 0.38330 -0.09898
27 C 0.42824 -0.44565 -2.67694
28 H 1.43554 1.63966 -1.17846
29 H 2.86233 1.32117 -2.14296
30 H 2.79284 -1.58954 -3.64556
31 H -1.88321 -0.08579 -3.84199
32 H -0.56556 -2.11625 1.92079
33 H 4.50003 -0.40117 -2.15095
34 H 3.60034 1.10147 0.38940
35 H 2.28959 -2.32330 -2.33332
36 H 0.55750 1.73819 0.99866
37 H 0.17657 -0.65302 -0.08530
38 H 3.47708 -1.84869 0.08494
39 H -1.80525 1.80892 3.72667
40 H 1.18851 0.36264 3.75702
41 H 1.23200 -1.75915 0.19889
42 H -2.32837 -2.59548 -0.96774
43 H -3.85266 -2.19790 -0.07560
44 H -5.35172 1.74716 1.43155
45 H 0.89974 -1.77671 2.73680
46 H 4.69872 -2.10811 -2.15305
47 H 2.23509 1.95551 1.73486
48 H -1.96446 2.67494 -0.44894
49 H 4.81682 -1.00258 0.04354
50 H 0.11863 1.71206 3.40317
51 H -3.89734 2.52595 3.23936
52 H -4.42823 -0.04089 0.06358
53 H -3.36192 -1.13626 -1.39636

Values from the calculation:
Largest force on an atom (eV/A): 16.311
HOMO (eV): -7.3
Gap between HOMO and LUMO (Eh): 0.2892
Structure (SMILES): COc1ccccc1N1CCN([C@H]2CCCN(C(=O)c3cscn3)C2)CC1
Electronic energy (Ha): -1544.7680
>>>

The reader should set down only the last part of the rows above, starting with the line that has "molecule C20H26N2O5S,".

Computed, not measured: the molecule C20H26N2O5S, with wB97M-V/def2-TZVPD.

Cartesian coordinates (Å):
1 S 2.63185 -0.56999 -0.74896
2 O 1.79771 -1.55765 -0.11250
3 O -5.19342 0.50448 -0.87769
4 O -2.60014 4.07573 -0.32778
5 O -3.89163 0.96817 0.88799
6 O 3.21791 -0.88818 -2.01583
7 N -1.68195 2.01442 0.04350
8 N 3.84329 -0.04949 0.26633
9 C -2.61872 -3.68996 -0.11801
10 C 0.13559 3.22435 -1.07919
11 C 5.46297 -1.93162 0.22187
12 C 3.46223 0.10311 1.65341
13 C -2.36943 -1.66975 -1.25420
14 C -4.48087 0.12477 0.01035
15 C -3.74688 -3.49762 -0.78848
16 C -1.96129 -2.34322 0.06064
17 C 5.19573 -0.45413 -0.05212
18 C 1.42284 3.19667 -1.59140
19 C 3.43880 1.57449 2.06123
20 C -2.68014 2.93280 0.05151
21 C -3.85064 -2.02505 -1.08769
22 C -3.98541 2.36186 0.62826
23 C -0.39207 2.08666 -0.47459
24 C -2.86060 -1.59857 1.08027
25 C 0.38945 0.93555 -0.38256
26 C 1.66400 0.93034 -0.89955
27 C -4.14728 -1.32716 0.27407
28 C 2.19760 2.05002 -1.50894
29 H 5.32768 -0.25638 -1.11694
30 H 4.42301 2.01677 1.93021
31 H 2.72954 2.12722 1.45047
32 H -4.79389 2.55692 -0.08526
33 H -3.05938 -2.21764 1.95418
34 H -1.92049 1.11144 0.43850
35 H 4.15390 -0.44827 2.29680
36 H 2.46931 -0.33751 1.77131
37 H 4.76864 -2.53246 -0.36008
38 H -1.91627 -2.14545 -2.12133
39 H -2.39321 -0.67930 1.42874
40 H 6.48013 -2.18579 -0.06475
41 H -4.20890 2.86604 1.57173
42 H 5.32859 -2.16665 1.27553
43 H 5.88143 0.18108 0.51576
44 H 1.82135 4.08190 -2.06264
45 H -0.46885 4.11408 -1.14873
46 H -4.53624 -1.73034 -1.87677
47 H -5.03000 -1.76855 0.74472
48 H -2.17847 -0.59757 -1.29307
49 H 3.19652 2.00661 -1.91022
50 H -2.23870 -4.60355 0.29963
51 H -4.50298 -4.21589 -1.04561
52 H 3.15155 1.66534 3.10554
53 H 0.01809 0.03240 0.07648
54 H -0.90186 -2.35546 0.30590

Values from the calculation:
Largest force on an atom (eV/A): 1.162
HOMO (eV): -9.0
Gap between HOMO and LUMO (Eh): 0.3500
Structure (SMILES): CCN(CC)S(=O)(=O)c1cccc(NC(=O)COC(=O)[C@@H]2C[C@H]3C=C[C@@H]2C3)c1
Electronic energy (Ha): -1661.6085


Computed, not measured: the molecule C20H26N4O2S, with wB97M-V/def2-TZVPD.

Cartesian coordinates (Å):
1 S -2.89474 1.54360 -2.37607
2 O -2.03039 -1.16562 0.38130
3 O 0.31774 -1.42997 -3.24821
4 N 1.90021 -0.01491 0.93116
5 N -0.52380 1.45981 -1.29590
6 N -0.50447 -0.15478 2.33260
7 N 1.73368 -0.06347 -2.36453
8 C 0.20187 -1.44171 1.96276
9 C -0.67297 0.53226 -2.48893
10 C 1.44279 1.30794 1.74264
11 C -1.74366 2.03514 -1.30050
12 C -1.74584 0.33028 2.23178
13 C -1.67804 0.36801 -3.07810
14 C 3.99124 -1.16629 -1.93999
15 C -2.89203 -1.93849 -0.56312
16 C 0.96113 -0.82485 0.68149
17 C -4.23395 1.12729 1.76281
18 C -3.54064 1.93758 2.68198
19 C 0.64507 0.91212 2.70079
20 C -3.72827 0.22999 0.96016
21 C 2.29903 0.77306 -1.35374
22 C 3.85073 -1.07138 -0.47136
23 C 2.71719 -1.51243 -2.61604
24 C -2.25862 1.39884 2.90757
25 C -2.44246 -0.06251 1.28637
26 C 2.95833 0.38330 -0.09898
27 C 0.42824 -0.44565 -2.67694
28 H 1.43554 1.63966 -1.17846
29 H 2.86233 1.32117 -2.14296
30 H 2.79284 -1.58954 -3.64556
31 H -1.88321 -0.08579 -3.84199
32 H -0.56556 -2.11625 1.92079
33 H 4.50003 -0.40117 -2.15095
34 H 3.60034 1.10147 0.38940
35 H 2.28959 -2.32330 -2.33332
36 H 0.55750 1.73819 0.99866
37 H 0.17657 -0.65302 -0.08530
38 H 3.47708 -1.84869 0.08494
39 H -1.80525 1.80892 3.72667
40 H 1.18851 0.36264 3.75702
41 H 1.23200 -1.75915 0.19889
42 H -2.32837 -2.59548 -0.96774
43 H -3.85266 -2.19790 -0.07560
44 H -5.35172 1.74716 1.43155
45 H 0.89974 -1.77671 2.73680
46 H 4.69872 -2.10811 -2.15305
47 H 2.23509 1.95551 1.73486
48 H -1.96446 2.67494 -0.44894
49 H 4.81682 -1.00258 0.04354
50 H 0.11863 1.71206 3.40317
51 H -3.89734 2.52595 3.23936
52 H -4.42823 -0.04089 0.06358
53 H -3.36192 -1.13626 -1.39636

Values from the calculation:
Largest force on an atom (eV/A): 16.311
HOMO (eV): -7.3
Gap between HOMO and LUMO (Eh): 0.2892
Structure (SMILES): COc1ccccc1N1CCN([C@H]2CCCN(C(=O)c3cscn3)C2)CC1
Electronic energy (Ha): -1544.7680